What Is Verbal Abuse In Nursing Homes?
Nursing home abuse is going to take many forms, from allied physical violence to subtle emotional abuse, which can include verbal abuse. Verbal abuse does not include physical contact but it can be just as damaging to the psyche and well-being of elderly patients as more obvious forms of abuse are. If you believe that somebody you love and care for has been the victim of verbal abuse in a nursing home you should know your legal rights, and reach out to a nursing home lawyer such as Davis & Brusca, LLC.
The National Center on Elder Abuse defines verbal abuse as the infliction of pain, anguish, or distress that are caused by verbal acts. Nursing home staff may use verbal abuse and attempt to coerce, degrade, frighten or punish nursing home residents. Some of the most common forms of verbal abuse are, but not limited to, threats or intimidation, verbal harassment, insults, name-calling, humiliation, habitual blaming, manipulation, and things such as giving the silent treatment or cold shoulder.
(Next to the article, the page also holds data records)
=====
[1]
# YFeHg2
Calculated X-ray diffraction stick pattern, Cu Kα (weighted mean of Kα1 and Kα2). Input: a PBE-relaxed structure.
Neutral-atom scattering factors, no anomalous dispersion.

Largest 10 diffraction maxima, low angle first, 5° ≤ 2θ ≤ 70°:
d 4.148, I = 17, (0 0 2); d 3.196, I = 19, (1 1 0); d 2.532, I = 100, (1 1 2); d 2.260, I = 36, (2 0 0); d 2.074, I = 14, (0 0 4); d 1.984, I = 11, (2 0 2); d 1.740, I = 7, (1 1 4); d 1.598, I = 12, (2 2 0); d 1.528, I = 21, (2 0 4); d 1.351, I = 28, (3 1 2)

Atomic structure:
Cell lengths 4.520, 4.520, 8.296 Å; angles 90.00, 90.00, 90.00 degrees
Space group I4/mmm (No. 139)
Inequivalent atoms, fractional coordinates:
Y1 0.000 0.000 0.000
Fe1 0.000 0.000 0.500
Hg1 0.000 0.500 0.250

[2]
# Zn2FeHg
Calculated X-ray diffraction stick pattern, Cu Kα (weighted mean of Kα1 and Kα2). Input: a PBE-relaxed structure.
Neutral-atom scattering factors, no anomalous dispersion.

Largest 10 diffraction maxima, low angle first, 5° ≤ 2θ ≤ 70°:
d 5.111, I = 12, (0 0 1); d 4.415, I = 10, (0 1 0); d 3.341, I = 22, (0 1 1); d 2.836, I = 6, (1 0 0); d 2.417, I = 26, (1 0 1); d 2.209, I = 100, (0 2 0); d 1.630, I = 15, (1 2 1); d 1.502, I = 5, (1 0 -3); d 1.354, I = 7, (1 1 3); d 1.350, I = 11, (2 1 0)

Atomic structure:
Cell lengths 2.842, 4.415, 5.120 Å; angles 90.00, 93.55, 90.00 degrees
Space group P2/m (No. 10)
Inequivalent atoms, fractional coordinates:
Zn1 0.234 0.000 0.217
Fe1 0.500 0.500 0.000
Hg1 0.000 0.500 0.500

[3]
# Ho2Fe17
Calculated X-ray diffraction stick pattern, Cu Kα (weighted mean of Kα1 and Kα2). Input: a PBE-relaxed structure.
Neutral-atom scattering factors, no anomalous dispersion.

Largest 10 diffraction maxima, low angle first, 5° ≤ 2θ ≤ 70°:
d 2.947, I = 41, (1 1 2); d 2.439, I = 42, (3 0 0); d 2.194, I = 30, (2 0 3); d 2.112, I = 58, (2 2 0); d 2.098, I = 100, (3 0 2); d 2.057, I = 30, (0 0 4); d 1.947, I = 15, (2 1 3); d 1.879, I = 15, (2 2 2); d 1.489, I = 15, (4 1 2); d 1.474, I = 17, (2 2 4)

Atomic structure:
Cell lengths 8.4500, 8.4500, 8.2272 Å; angles 90.00, 90.00, 120.00 degrees
Space group P6_3/mmc (No. 194)
Inequivalent atoms, fractional coordinates:
Ho1 0.0000 0.0000 0.2500
Ho2 0.3333 0.6667 0.2500
Fe1 0.0000 0.5000 0.0000
Fe2 0.0387 0.3678 0.7500
Fe3 0.1657 0.3315 0.0156
Fe4 0.3333 0.6667 0.6064

[4]
# HoFe3
Calculated X-ray diffraction stick pattern, Cu Kα (weighted mean of Kα1 and Kα2). Input: a PBE-relaxed structure.
Neutral-atom scattering factors, no anomalous dispersion.

Largest 10 diffraction maxima, low angle first, 5° ≤ 2θ ≤ 70°:
d 4.321, I = 15, (1 0 1); d 2.714, I = 53, (1 0 7); d 2.535, I = 58, (1 1 0); d 2.489, I = 36, (0 1 8); d 2.187, I = 39, (0 2 1); d 2.146, I = 100, (1 1 6); d 1.496, I = 18, (2 1 7); d 1.455, I = 13, (1 2 8); d 1.376, I = 23, (3 0 6); d 1.357, I = 13, (2 0 14)

Atomic structure:
Cell lengths 5.0707, 5.0707, 24.1648 Å; angles 90.00, 90.00, 120.00 degrees
Space group R-3m (No. 166, hexagonal axes)
Inequivalent atoms, fractional coordinates:
=====
Some examples of verbal abuse or more blame than others such as a nursing staff member is cruelly exploiting their authority to harass or bully vulnerable nursing home patients. More often than not, caregivers do not intend to harm patients, but over time their joking or teasing can get out of hand.
Sometimes a staff member may become agitated with the residents’ behavior and may withhold or threaten to restrict social activities or food that resident due to that behavior. However, the thing is that residents cannot always control their agitation or their behaviors. Oftentimes nursing home staff are overworked, they are inadequately trained and they are poorly supervised. This means that employees are more likely to foster abusive environments.
=====
Entry 1:
Calculated powder XRD pattern of MgSn for copper Kα, from a structure optimized by DFT (PBE).
Neutral-atom scattering factors, no anomalous dispersion.

Most intense lines, 10° ≤ 2θ ≤ 80°, by intensity:
2θ 34.44, 2.604 Å, rel. 100; 2θ 39.14, 2.301 Å, rel. 27; 2θ 30.14, 2.965 Å, rel. 25; 2θ 29.72, 3.006 Å, rel. 21; 2θ 11.50, 7.695 Å, rel. 20; 2θ 20.59, 4.315 Å, rel. 17; 2θ 61.68, 1.504 Å, rel. 17; 2θ 23.12, 3.848 Å, rel. 16; 2θ 46.10, 1.969 Å, rel. 13; 2θ 64.53, 1.444 Å, rel. 13

Cell and atoms:
Unit cell a=5.211 b=7.916 c=7.916 alpha=27.10 beta=90.00 gamma=90.00
Fractional coordinates of all 6 atoms:
Mg1 0.000 0.000 0.000
Mg2 0.000 0.327 0.327
Mg3 0.500 0.776 0.776
Sn1 0.000 0.666 0.666
Sn2 0.500 0.115 0.115
Sn3 0.500 0.435 0.435

Entry 2:
Calculated powder XRD pattern of MgSn for copper Kα, from a structure optimized by DFT (PBE).
Neutral-atom scattering factors, no anomalous dispersion.

Most intense lines, 10° ≤ 2θ ≤ 80°, by intensity:
2θ 35.92, 2.500 Å, rel. 100; 2θ 24.61, 3.618 Å, rel. 34; 2θ 18.13, 4.893 Å, rel. 30; 2θ 33.26, 2.694 Å, rel. 27; 2θ 61.17, 1.515 Å, rel. 22; 2θ 31.75, 2.819 Å, rel. 18; 2θ 46.61, 1.948 Å, rel. 18; 2θ 67.08, 1.395 Å, rel. 15; 2θ 56.42, 1.631 Å, rel. 12; 2θ 68.86, 1.363 Å, rel. 11

Cell and atoms:
Unit cell a=5.388 b=5.637 c=5.637 alpha=119.78 beta=90.00 gamma=90.00
Fractional coordinates of all 6 atoms:
Mg1 0.000 0.000 0.000
Mg2 0.500 0.000 0.666
Mg3 0.500 0.666 0.000
Sn1 0.000 0.334 0.672
Sn2 0.000 0.672 0.334
Sn3 0.500 0.328 0.328

Number 1 is which compound?
MgSn

----------

Entry 1:
For Ba6Ti5PtO18, a DFT-relaxed cell (GGA-PBE, Alexandria) gives the calculated powder diffraction line list in this record (CuKα).
Peak positions follow from Bragg's law for the DFT cell and can differ from measured ones.

Peak list (10 most intense, 10° ≤ 2θ ≤ 90°, low angle first)
2theta, I/Imax
21.6, 15
25.8, 32
30.7, 66
30.8, 100
40.6, 24
44.1, 39
54.8, 45
58.3, 15
64.3, 19
89.4, 17

Cell and atoms:
```
30
Lattice="5.7969 0.0000 0.0000 -2.8985 5.0203 0.0000 0.0000 0.0000 14.2735" Properties=species:S:1:pos:R:3 pbc="T T T"
Ba 0.0000 0.0000 0.0000
Ba 0.0000 0.0000 4.3988
Ba 0.0000 3.3469 2.1857
Ba 0.0000 3.3469 9.2969
Ba 2.8985 1.6734 7.0499
Ba 2.8985 1.6734 11.5133
Ti 0.0000 0.0000 7.8820
Ti 0.0000 3.3469 5.6702
Ti 0.0000 3.3469 12.8490
Ti 2.8985 1.6734 0.7546
Ti 2.8985 1.6734 3.4648
Pt 0.0000 0.0000 10.6939
O -1.4224 2.5256 4.6877
O 0.0000 1.6656 6.9735
O -1.4560 4.1875 6.9735
O 0.0000 1.7162 11.8773
O -1.4122 4.1622 11.8773
O 1.3152 0.7593 9.3787
O 1.5973 0.9222 2.2848
O 1.4225 2.5256 4.6877
O 0.0000 4.9894 4.6877
O 2.8985 0.0039 14.1503
O 1.4526 2.5082 14.1503
O 1.4122 4.1622 11.8773
O 1.4560 4.1875 6.9735
O 4.1997 0.9222 2.2848
O 2.8985 3.1759 2.2848
O 4.4818 0.7593 9.3787
O 2.8985 3.5017 9.3787
O 4.3444 2.5082 14.1503
```

Entry 2:
For Ba2ZnPtO4, a DFT-relaxed cell (GGA-PBE, Alexandria) gives the calculated powder diffraction line list in this record (CuKα).
=====
Nursing home residents are going to rely on their caregivers for every need, for medical treatment to their basic necessities like food and water. For many people, nursing home staff members also provide an important service of companionship, especially if their family members do not visit. This means that abuse happens to these people, and they feel extremely isolated and helpless because their caregivers are the ones doing it to them.
Not only that, but verbal abuse victims or to be more likely to be embarrassed, fear retaliation, or they may be hesitant to report altogether. Because they do not know where to turn, they are just going to become withdrawn or depressed and over time they will suffer consequences such as physical ailments, weakening health, deteriorating mental status or even premature death.
Between two parts of the page: crystal structures
+++
For NdGdSc2Ge2, the PBE geometry in OQMD gives the calculated X-ray diffraction stick pattern in this record (Cu Kα (λ = 1.5418 Å)).
Kinematic intensities with the Lorentz-polarization factor, no thermal factor.

Top 6 peaks for 2θ = 10–90°, in order of falling intensity:
(hkl)	d (Å)	intensity
1 0 5	2.548	100
1 1 0	3.032	94
1 1 2	2.831	89
2 0 0	2.144	80
1 1 4	2.407	80
1 0 3	3.329	66

Atomic structure:
a = 4.2874 Å, b = 4.2874 Å, c = 15.8446 Å
α = 90.00°, β = 90.00°, γ = 90.00°
Space group I4mm (No. 107)
Symmetry-distinct sites (fractional):
Nd 0.0000 0.0000 0.0000 (multiplicity 2)
Gd 0.0000 0.0000 0.6466 (multiplicity 2)
Sc 0.0000 0.5000 0.3212 (multiplicity 4)
Ge 0.0000 0.0000 0.1977 (multiplicity 2)
Ge 0.0000 0.0000 0.4466 (multiplicity 2)

For KHoGa4Pt2, the PBE geometry in OQMD gives the calculated X-ray diffraction stick pattern in this record (Cu Kα (λ = 1.5418 Å)).
Kinematic intensities with the Lorentz-polarization factor, no thermal factor.

Top 6 peaks for 2θ = 10–90°, in order of falling intensity:
(hkl)	d (Å)	intensity
1 1 3	2.517	100
2 1 1	2.630	82
2 0 0	3.479	72
2 1 3	2.133	57
1 0 4	2.418	55
3 1 1	2.009	55

Atomic structure:
a = 6.9592 Å, b = 4.3611 Å, c = 10.3163 Å
α = 90.00°, β = 90.00°, γ = 90.00°
Space group Amm2 (No. 38)
Symmetry-distinct sites (fractional):
K 0.0000 0.0000 0.0000 (multiplicity 2)
Ho 0.5000 0.0000 0.1575 (multiplicity 2)
Ga 0.1979 0.0000 0.7169 (multiplicity 4)
Ga 0.3083 0.0000 0.4381 (multiplicity 4)
Pt 0.0000 0.0000 0.2816 (multiplicity 2)
Pt 0.5000 0.0000 0.8705 (multiplicity 2)

For CdH34C18S4O2, the PBE geometry in OQMD gives the calculated X-ray diffraction stick pattern in this record (Cu Kα (λ = 1.5418 Å)).
Kinematic intensities with the Lorentz-polarization factor, no thermal factor.

Top 6 peaks for 2θ = 10–90°, in order of falling intensity:
(hkl)	d (Å)	intensity
1 1 3	4.054	100
1 1 4	3.506	78
2 0 -1	4.423	63
1 1 1	5.202	58
1 1 -4	3.600	50
1 1 0	5.457	32

Atomic structure:
a = 9.0167 Å, b = 6.8582 Å, c = 18.7345 Å
α = 90.00°, β = 92.51°, γ = 90.00°
Space group C2 (No. 5)
Symmetry-distinct sites (fractional):
Cd 0.0000 0.0000 0.0000 (multiplicity 2)
H 0.0153 0.0555 0.2227 (multiplicity 4)
H 0.0165 0.7520 0.3046 (multiplicity 4)
H 0.0230 0.4450 0.3816 (multiplicity 4)
H 0.0317 0.3663 0.1376 (multiplicity 4)
H 0.0735 0.5943 0.4550 (multiplicity 4)
H 0.0796 0.8989 0.3769 (multiplicity 4)
H 0.0838 0.2017 0.2947 (multiplicity 4)
H 0.1014 0.5015 0.2134 (multiplicity 4)
H 0.1443 0.2437 0.4789 (multiplicity 4)
H 0.1834 0.7652 0.7736 (multiplicity 4)
H 0.1931 0.1920 0.6058 (multiplicity 4)
H 0.1925 0.4846 0.6904 (multiplicity 4)
H 0.1960 0.8952 0.5199 (multiplicity 4)
H 0.2400 0.1273 0.1544 (multiplicity 4)
H 0.2403 0.7471 0.5956 (multiplicity 4)
H 0.2406 0.8405 0.2373 (multiplicity 4)
H 0.2489 0.0479 0.6799 (multiplicity 4)
C 0.1181 0.1063 0.2509 (multiplicity 4)
C 0.1181 0.8073 0.3329 (multiplicity 4)
C 0.1197 0.5047 0.4125 (multiplicity 4)
C 0.1324 0.4012 0.1706 (multiplicity 4)
+++
The first step to helping victims of verbal abuse is putting a stop to the harmful behavior. The second step is most likely reaching out to a nursing home lawyer, to see what you do next. If you have a case your lawyer can advise you on the next steps to take, such as possibly transferring your loved one to a new nursing home.